### Brief
The reader should retype only the last part of the rows below, starting with the line that has "multiplicity".

### Listing
<<<
# C6H14

A cluster of 2 separate species, C6H14 in total (ωB97M-V/def2-TZVPD, OMol25).

multiplicity = 1
SMILES = C/C=C(\C)CC.[H][H]
HOMO level = -0.3167 Ha
net charge = 0
orbital gap = 9.798 eV
relative energy (zero: lowest compared OMol25 entry of this formula, charge and spin) = 186.2 kJ/mol
E_tot = -236.9405 hartree

Structure (XYZ):
```
20
Properties=species:S:1:pos:R:3:forces:R:3:mulliken_charge:R:1
H 2.6866 0.7808 -1.2089 0.0 -0.1 0.1 0.3253
H 0.5179 -0.2210 1.7570 -0.1 0.1 0.5 -0.0970
C 0.0883 -0.0186 -0.2828 0.1 -0.1 -0.2 0.2315
H 1.2904 -1.7218 -0.3537 0.0 0.2 0.0 0.3023
H -1.4600 -1.0256 -1.2989 -0.1 -0.1 0.1 0.2810
C -0.0228 1.4826 -0.2581 0.0 0.0 0.0 -1.3327
H -0.8513 1.8379 0.3654 0.1 -0.2 -0.1 0.4015
H -2.7609 0.7039 -0.0385 0.1 -0.1 0.0 0.3311
H 3.4286 -0.6481 -0.4806 -0.1 0.1 0.0 0.3320
H -3.2716 -0.9386 0.3353 0.2 0.1 0.0 0.3667
H -0.9902 -1.8063 0.2035 0.0 0.1 -0.2 0.2740
H -0.2010 1.8365 -1.2793 0.0 0.1 0.1 0.3080
C 2.6104 0.0701 -0.3786 0.0 0.0 -0.1 -1.2481
H 0.8914 1.9600 0.1086 -0.1 -0.1 -0.1 0.3370
H 0.0697 0.1132 2.2493 0.1 0.0 0.5 0.1288
H 2.7912 0.6422 0.5443 -0.1 -0.1 -0.1 0.2916
H -2.2964 -0.0411 1.4999 0.1 0.0 -0.2 0.2995
C 1.2746 -0.6307 -0.3599 -0.2 0.1 -0.1 0.0943
C -2.4383 -0.2321 0.4299 0.0 0.0 0.0 -1.2551
C -1.1993 -0.8299 -0.2525 0.0 -0.1 -0.1 -0.3717
```
Positions in Å, forces in eV/Å.

* * * * *
>>>

### Done
multiplicity = 1
SMILES = C/C=C(\C)CC.[H][H]
HOMO level = -0.3167 Ha
net charge = 0
orbital gap = 9.798 eV
relative energy (zero: lowest compared OMol25 entry of this formula, charge and spin) = 186.2 kJ/mol
E_tot = -236.9405 hartree

Structure (XYZ):
```
20
Properties=species:S:1:pos:R:3:forces:R:3:mulliken_charge:R:1
H 2.6866 0.7808 -1.2089 0.0 -0.1 0.1 0.3253
H 0.5179 -0.2210 1.7570 -0.1 0.1 0.5 -0.0970
C 0.0883 -0.0186 -0.2828 0.1 -0.1 -0.2 0.2315
H 1.2904 -1.7218 -0.3537 0.0 0.2 0.0 0.3023
H -1.4600 -1.0256 -1.2989 -0.1 -0.1 0.1 0.2810
C -0.0228 1.4826 -0.2581 0.0 0.0 0.0 -1.3327
H -0.8513 1.8379 0.3654 0.1 -0.2 -0.1 0.4015
H -2.7609 0.7039 -0.0385 0.1 -0.1 0.0 0.3311
H 3.4286 -0.6481 -0.4806 -0.1 0.1 0.0 0.3320
H -3.2716 -0.9386 0.3353 0.2 0.1 0.0 0.3667
H -0.9902 -1.8063 0.2035 0.0 0.1 -0.2 0.2740
H -0.2010 1.8365 -1.2793 0.0 0.1 0.1 0.3080
C 2.6104 0.0701 -0.3786 0.0 0.0 -0.1 -1.2481
H 0.8914 1.9600 0.1086 -0.1 -0.1 -0.1 0.3370
H 0.0697 0.1132 2.2493 0.1 0.0 0.5 0.1288
H 2.7912 0.6422 0.5443 -0.1 -0.1 -0.1 0.2916
H -2.2964 -0.0411 1.4999 0.1 0.0 -0.2 0.2995
C 1.2746 -0.6307 -0.3599 -0.2 0.1 -0.1 0.0943
C -2.4383 -0.2321 0.4299 0.0 0.0 0.0 -1.2551
C -1.1993 -0.8299 -0.2525 0.0 -0.1 -0.1 -0.3717
```
Positions in Å, forces in eV/Å.

* * * * *